My dear friend, co-founder of Cafe Hayek, and former colleague Russ Roberts is (as many of you know) founder and host of the remarkable podcast “EconTalk.” Russ’s latest guest is my esteemed colleague Tyler Cowen. The topic is Covid-19 and the response to Covid. I paste below (with minor modifications) a comment that I left in the ‘comments’ section at the EconTalk site … for what it’s worth.
While Tyler is a long-time colleague for whom I have great respect, I’m perplexed by much of what he says in this discussion with Russ. Some of what perplexes me has been mentioned by earlier commenters. But what is to me the single most perplexing of Tyler’s remarks has, I think, as yet gone unmentioned. Specifically, it’s Tyler’s claim that what he calls governments’ “very vigorous response” to Covid – including the early lockdowns – were justified in order “to maintain your societal coherence.”
To lock people down, to mandate masks, to close schools, to restrict travel, and to stir up fear of Covid that is far out of proportion to the disease’s actual dangers is to shred the warp and woof of societal cohesion. Short of an actual, bazookas-blasting civil war, I can think of nothing that can have frayed and punctured societal cohesion more than the Covid responses – both the coercion and the fear-mongering – championed by most governments and pundits.
Many children are still kept from their classmates and often even from their neighborhood playmates. Families and friends were discouraged from joining together to celebrate holidays and special, even solemn, occasions. Fans were prevented from gathering together live at sporting events. (Fans were replaced by freakish cardboard cutouts.) Many sporting events themselves were canceled. In my hometown of New Orleans, Mardi Gras – a glorious, if gaudy, mass party – was in 2021 effectively canceled.
Dining out ground to a halt. It remains today at far from full capacity in many places. Unlike Tyler, I very much enjoy sitting in crowded bars and talking with bartenders and patrons. Yet such activity, at least in Virginia and DC, remains impossible.
Sitting about a month ago at a table placed beside what was once a bar within a northern Virginia restaurant, I was reprimanded by the restaurant manager for turning around and leaning in for too long to chat without a mask with a couple seated more than six feet behind me. Some societal cohesion this.
Movie theaters, concert venues, gyms, coffee shops, bookstores, retail shops and shopping malls, churches, public parks, amusement parks, beaches – places where strangers congregate for enjoyment, relaxation, recreation, worship, and often for the mere pleasure of being among others – were shut down completely for a time, and might be shut down again. Many are still in at least partial shut-down. Some will never reopen.
The Canadian government literally recommended that people stop having sex with each other and instead to masturbate. And for those who simply cannot do without the actual intimacy of partners in the flesh, the recommendation was at least to wear a mask during intimacy. What kind of deranged and anti-social freak offers such recommendations?
Very many people now regard strangers as poisonous monsters from whom unnatural distance must be kept. Passers-by steer clear of each other as people have long steered clear of mangy stray dogs. Masks hide smiles and muffle voices. We humans who communicate so much and so deftly with facial expressions are now denied this vital form of communication.
Entry 1:
# NaGeN PBE relaxed
# M_tot in μB/atom: 0.000
# DFT total energy in eV/cell: -29.38
# Energy of formation from the pure elements in meV/atom: -256
data_NaGeN
_chemical_formula_sum 'Na2 Ge2 N2'
_space_group_name_H-M_alt 'P 63 m c'
_space_group_IT_number 186
_space_group_name_Hall 'P 6c -2c'
_cell_length_a 3.1053
_cell_length_b 3.1053
_cell_length_c 10.5219
_cell_angle_alpha 90.00
_cell_angle_beta 90.00
_cell_angle_gamma 120.00
loop_
_atom_site_label
_atom_site_type_symbol
_atom_site_fract_x
_atom_site_fract_y
_atom_site_fract_z
Na1 Na 0.3333 0.6667 0.0000
Ge1 Ge 0.0000 0.0000 0.2471
N1 N 0.3333 0.6667 0.3362



Entry 2:
# NiGe2N2 PBE relaxed
# M_tot in μB/atom: 0.000
# DFT total energy in eV/cell: -123.28
# Energy of formation from the pure elements in meV/atom: 32
data_NiGe2N2
_chemical_formula_sum 'Ni4 Ge8 N8'
_space_group_name_H-M_alt 'P n m a'
_space_group_IT_number 62
_space_group_name_Hall '-P 2ac 2n'
_cell_length_a 6.720
_cell_length_b 3.070
_cell_length_c 12.026
_cell_angle_alpha 90.00
_cell_angle_beta 90.00
_cell_angle_gamma 90.00
loop_
_atom_site_label
_atom_site_type_symbol
_atom_site_fract_x
_atom_site_fract_y
_atom_site_fract_z
Ni1 Ni 0.222 0.250 0.127
Ge1 Ge 0.014 0.750 0.349
Ge2 Ge 0.131 0.750 0.905
N1 N 0.167 0.250 0.283
N2 N 0.227 0.750 0.468



Entry 3:
# NiGe7N10 PBE relaxed
# M_tot in μB/atom: 0.000
# DFT total energy in eV/cell: -236.53
# Energy of formation from the pure elements in meV/atom: -21
data_NiGe7N10
_chemical_formula_sum 'Ni2 Ge14 N20'
_space_group_name_H-M_alt 'P 1 c 1'
_space_group_IT_number 7
_space_group_name_Hall 'P -2yc'
_cell_length_a 6.918
_cell_length_b 7.422
_cell_length_c 10.232
_cell_angle_alpha 90.00
_cell_angle_beta 101.95
_cell_angle_gamma 90.00
loop_
_atom_site_label
_atom_site_type_symbol
_atom_site_fract_x
_atom_site_fract_y
_atom_site_fract_z
Ni1 Ni 0.000 0.121 0.000
Ge1 Ge 0.169 0.395 0.895
Ge2 Ge 0.354 0.371 0.203
Ge3 Ge 0.386 0.016 0.846
Ge4 Ge 0.540 0.364 0.506
Ge5 Ge 0.596 0.018 0.143
Ge6 Ge 0.704 0.354 0.811
Ge7 Ge 0.895 0.382 0.139
N1 N 0.128 0.426 0.264
N2 N 0.175 0.148 0.873
N3 N 0.344 0.486 0.043
N4 N 0.370 0.127 0.190
N5 N 0.497 0.122 0.494
N6 N 0.558 0.450 0.339
N7 N 0.593 0.134 0.789
N8 N 0.758 0.406 0.643
N9 N 0.822 0.142 0.125
N10 N 0.928 0.363 0.953



Entry 4:
# Ge2N2O PBE relaxed
# Piezoelectric modulus e_max in C/m²: 0.54
# M_tot in μB/atom: 0.000
# DFT total energy in eV/cell: -133.28
# Energy of formation from the pure elements in meV/atom: -628
data_Ge2N2O
_chemical_formula_sum 'Ge8 N8 O4'
_space_group_name_H-M_alt 'C m c 21'
_space_group_IT_number 36
_space_group_name_Hall 'C 2c -2'
_cell_length_a 3.094
_cell_length_b 17.550
_cell_length_c 5.110
_cell_angle_alpha 90.00
_cell_angle_beta 90.00
_cell_angle_gamma 90.00
loop_
_atom_site_label
_atom_site_type_symbol
_atom_site_fract_x
_atom_site_fract_y
_atom_site_fract_z
Ge1 Ge 0.000 0.057 0.000
Ge2 Ge 0.000 0.282 0.489
N1 N 0.000 0.258 0.846
N2 N 0.000 0.387 0.437
O1 O 0.000 0.031 0.338



Entry 5:
Shaking hands, back-slapping, and hugging are much-reduced.
My campus, George Mason University, remains largely deserted. Student unions and nearby restaurants that cater to young people are either quiet as mausoleums or shuttered.
Classes are conducted by Zoom. I teach – “teach” – by Zoom (or, rather, its equivalent called “Blackboard”).
People Zoom in to work. From home. Wearing pajamas.
Covid restrictions and Covid fear-mongering keep us dangerously apart. We’re not “all in this together” as much as we are altogether being driven apart from each other by unwarranted fear and by steely coercive state powers forged in the flames of this fear.
Elderly people are forcibly kept apart from their loved ones. One of my and Tyler’s mutual friends is unable to visit her dying mother in Europe.
The hand of economic nationalists to cut trade ties with foreign countries has been greatly strengthened by fears of Covid, thus threatening globalization and the peace and prosperity that it brings.
Tyler objects to the practice of emphasizing the fact that Covid overwhelmingly kills very old people and poses practically no risk to the young. He doesn’t deny this fact; he instead says that it’s irrelevant.Yet this fact is not at all irrelevant. It’s highly relevant.
First, more widespread recognition of this fact would help to better calibrate the public’s fear of Covid to this disease’s actual risks. (How is this outcome not desirable?) Second, such recognition would have prevented our indiscriminate widespread fear of each other. Efforts would have been focused on reducing risks to the elderly and vulnerable rather than on misleadingly frightening everyone to regard everyone else as vermin to be avoided rather than as humans whose company and cooperation enrich our lives.
The “vigorous” Covid response that Tyler applauds did not create societal cohesion. It sparked and is still fueling societal disintegration. The results will not be happy.